This record from OMol25 describes C2H7S2 as an isolated structure at a distorted geometry. The level of theory is ωB97M-V/def2-TZVPD.

**HOMO energy**: -0.0976 Ha
**ΔE to the lowest compared entry with this formula, charge and spin**: 19.6 kcal per mole
**E_LUMO**: 3.933 eV
**Total charge**: -1
**HOMO-LUMO gap**: 6.590 eV

Cartesian coordinates (Å):
C 2.157 1.054 0.106
S 0.326 1.114 0.066
H 2.472 0.038 -0.150
H 2.582 1.833 -0.509
H 2.386 1.318 1.132
C -2.112 -0.904 -0.137
S -0.611 -1.826 -0.104
H -2.164 -0.438 -1.106
H -3.017 -1.511 -0.099
H -2.139 -0.160 0.650
H 0.120 -0.518 0.151

Here are the Mulliken charges for atoms 1 to 8, given in e: number 1, C, carries -0.692; number 2, S, carries -0.519; number 3, H, carries 0.215; number 4, H, carries 0.221; number 5, H, carries 0.185; number 6, C, carries -0.856; number 7, S, carries -0.452; number 8, H, carries 0.271

~~~~~

No. 1
The following is a quantum chemistry calculation of a molecular structure, C20H27AuN3O3, from OMol25.

```
54
Properties=species:S:1:pos:R:3:forces:R:3:lowdin_charge:R:1
Au -0.4468 0.0117 -1.2802 0.009 0.111 -0.413 1.0904
C -3.2165 2.2778 1.0380 -0.047 0.141 -0.036 -0.0171
N -2.5042 1.0369 1.3094 0.157 -0.015 0.444 -0.1189
C -3.3701 -0.1386 1.3156 0.011 -0.089 -0.184 -0.0155
C -1.2800 1.0701 1.8356 -0.262 0.081 -0.307 -0.1463
C -0.7988 2.2575 2.4603 0.052 0.114 0.022 0.0039
C 0.4301 2.2908 3.0279 -0.206 0.049 -0.032 -0.0122
C 1.3062 1.1691 2.9622 0.077 -0.300 -0.120 -0.0369
C 0.9261 0.0416 2.3157 0.300 0.166 0.149 -0.0059
C -0.3638 -0.0589 1.6969 -0.036 -0.498 -0.392 -0.2141
N -0.6963 -0.9825 0.7951 -0.189 0.246 0.902 0.0591
C 0.0178 -2.1873 0.6580 0.138 -0.092 -0.236 -0.2218
C 0.4651 -2.9279 1.7491 -0.052 0.029 0.000 -0.0183
C 1.1099 -4.1398 1.5575 0.023 -0.052 0.026 -0.0535
C 1.3196 -4.6257 0.2806 -0.003 0.001 -0.003 -0.0503
C 0.8231 -3.9282 -0.8153 -0.080 0.022 0.084 -0.0067
C 0.1571 -2.7321 -0.6308 0.005 -0.005 0.065 -0.1985
N -0.4930 -2.0265 -1.7447 -0.010 -0.041 0.070 -0.3483
C 0.1635 -2.2494 -3.0527 0.040 0.032 -0.031 -0.0734
C -1.9035 -2.4963 -1.8199 0.000 -0.043 -0.040 -0.0514
H -3.7729 2.6165 1.9159 0.019 0.014 -0.009 0.1124
H -3.9225 2.0804 0.2335 -0.012 0.005 0.017 0.1055
H -2.5146 3.0359 0.7014 -0.024 -0.002 -0.027 0.0940
H -4.1912 0.0589 2.0091 -0.015 0.028 -0.042 0.1076
H -2.8301 -1.0206 1.6282 -0.019 -0.012 0.042 0.0824
H -3.7864 -0.2992 0.3210 0.041 -0.033 0.001 0.0967
H -1.4418 3.1204 2.5259 0.020 0.002 -0.011 0.1206
H 0.7547 3.1870 3.5379 -0.001 0.022 -0.002 0.1276
H 2.2923 1.2395 3.4001 0.006 -0.008 0.000 0.1191
H 1.6250 -0.7725 2.1984 -0.018 -0.025 0.014 0.1134
H 0.2827 -2.5694 2.7530 0.019 0.050 -0.006 0.1233
H 1.4534 -4.6982 2.4173 0.009 -0.009 0.000 0.1172
H 1.8501 -5.5546 0.1278 -0.001 -0.016 0.000 0.1159
H 0.9594 -4.3371 -1.8043 0.005 -0.009 -0.045 0.1132
H 0.0636 -3.2886 -3.3697 0.001 -0.007 -0.001 0.0905
H 1.2142 -1.9785 -2.9824 -0.002 0.005 -0.012 0.1011
H -0.3240 -1.6157 -3.7898 0.014 -0.004 0.001 0.0943
H -1.9214 -3.5565 -2.0845 -0.009 -0.002 0.023 0.1066
H -2.4295 -1.9182 -2.5766 -0.003 -0.010 -0.009 0.0938
H -2.3745 -2.3529 -0.8512 -0.024 0.016 -0.008 0.0806
C 1.8546 3.2220 -2.7505 0.000 0.022 0.072 -0.0018
C 1.8439 2.3915 -1.4713 0.036 0.036 0.008 -0.5271
C 3.0446 2.6885 -0.5856 -0.047 0.073 -0.030 -0.0099
O 1.8781 1.0021 -1.8678 0.046 0.116 0.031 -0.0938
C 0.5452 2.7474 -0.7086 -0.095 0.110 0.030 -0.5778
O 0.4997 3.7966 -0.0971 0.071 -0.065 -0.027 0.0747
O -0.5040 1.9689 -0.7917 0.023 -0.094 0.054 -0.2012
H 2.7885 3.0557 -3.2864 0.006 -0.011 -0.014 0.0934
H 1.7583 4.2797 -2.5123 0.007 0.010 0.009 0.1003
H 1.0251 2.9320 -3.3951 -0.018 -0.014 -0.008 0.0950
H 3.9676 2.5771 -1.1564 0.013 -0.026 0.001 0.0969
H 3.0659 2.0107 0.2730 -0.005 -0.005 0.006 0.0848
H 2.9837 3.7049 -0.2044 0.011 -0.003 -0.026 0.0968
H 2.6169 0.5841 -1.4146 0.016 -0.011 0.000 0.0897
```
Forces are in eV/Å.

Values from the calculation:
Spin multiplicity: 1
HOMO (alpha / beta), eV: -10.8930 / -11.3642
Kohn-Sham gap (alpha / beta), eV: 5.571 / 6.068

What is needed: transcribe the lines earlier on from the one with "0.0039" to the one with "-2.5766 -0.003" without altering anything.

C -0.7988 2.2575 2.4603 0.052 0.114 0.022 0.0039
C 0.4301 2.2908 3.0279 -0.206 0.049 -0.032 -0.0122
C 1.3062 1.1691 2.9622 0.077 -0.300 -0.120 -0.0369
C 0.9261 0.0416 2.3157 0.300 0.166 0.149 -0.0059
C -0.3638 -0.0589 1.6969 -0.036 -0.498 -0.392 -0.2141
N -0.6963 -0.9825 0.7951 -0.189 0.246 0.902 0.0591
C 0.0178 -2.1873 0.6580 0.138 -0.092 -0.236 -0.2218
C 0.4651 -2.9279 1.7491 -0.052 0.029 0.000 -0.0183
C 1.1099 -4.1398 1.5575 0.023 -0.052 0.026 -0.0535
C 1.3196 -4.6257 0.2806 -0.003 0.001 -0.003 -0.0503
C 0.8231 -3.9282 -0.8153 -0.080 0.022 0.084 -0.0067
C 0.1571 -2.7321 -0.6308 0.005 -0.005 0.065 -0.1985
N -0.4930 -2.0265 -1.7447 -0.010 -0.041 0.070 -0.3483
C 0.1635 -2.2494 -3.0527 0.040 0.032 -0.031 -0.0734
C -1.9035 -2.4963 -1.8199 0.000 -0.043 -0.040 -0.0514
H -3.7729 2.6165 1.9159 0.019 0.014 -0.009 0.1124
H -3.9225 2.0804 0.2335 -0.012 0.005 0.017 0.1055
H -2.5146 3.0359 0.7014 -0.024 -0.002 -0.027 0.0940
H -4.1912 0.0589 2.0091 -0.015 0.028 -0.042 0.1076
H -2.8301 -1.0206 1.6282 -0.019 -0.012 0.042 0.0824
H -3.7864 -0.2992 0.3210 0.041 -0.033 0.001 0.0967
H -1.4418 3.1204 2.5259 0.020 0.002 -0.011 0.1206
H 0.7547 3.1870 3.5379 -0.001 0.022 -0.002 0.1276
H 2.2923 1.2395 3.4001 0.006 -0.008 0.000 0.1191
H 1.6250 -0.7725 2.1984 -0.018 -0.025 0.014 0.1134
H 0.2827 -2.5694 2.7530 0.019 0.050 -0.006 0.1233
H 1.4534 -4.6982 2.4173 0.009 -0.009 0.000 0.1172
H 1.8501 -5.5546 0.1278 -0.001 -0.016 0.000 0.1159
H 0.9594 -4.3371 -1.8043 0.005 -0.009 -0.045 0.1132
H 0.0636 -3.2886 -3.3697 0.001 -0.007 -0.001 0.0905
H 1.2142 -1.9785 -2.9824 -0.002 0.005 -0.012 0.1011
H -0.3240 -1.6157 -3.7898 0.014 -0.004 0.001 0.0943
H -1.9214 -3.5565 -2.0845 -0.009 -0.002 0.023 0.1066
H -2.4295 -1.9182 -2.5766 -0.003 -0.010 -0.009 0.0938